== Contents ==
<<<
--- i ---
Density functional theory data (ωB97M-V/def2-TZVPD) for a molecular structure, H20HeO10.

Properties
Orbital gap: 9.094 eV
Charge: 0
Multiplicity: 1

Positions of all 31 atoms, in Å:
He 12.76 17.70 -3.99
O 8.80 16.39 -3.09
H 9.27 17.00 -3.66
H 8.84 15.55 -3.55
O 14.86 15.54 -5.77
H 15.50 15.71 -5.09
H 15.22 14.81 -6.27
O 12.90 17.42 -6.38
H 13.45 16.83 -5.86
H 13.52 17.97 -6.86
O 10.14 18.60 -6.75
H 10.85 17.99 -6.54
H 10.28 19.34 -6.16
O 14.11 19.87 -4.38
H 14.66 19.32 -3.82
H 14.26 19.53 -5.26
O 10.93 18.04 -0.60
H 11.01 18.91 -0.99
H 10.01 17.98 -0.33
O 11.36 21.02 -1.89
H 12.26 20.72 -1.73
H 11.16 21.60 -1.16
O 12.54 14.48 -4.59
H 12.91 14.57 -3.71
H 13.22 14.81 -5.17
O 15.56 18.33 -2.51
H 14.88 17.85 -2.03
H 16.20 17.66 -2.76
O 11.13 19.89 -4.50
H 11.07 20.51 -3.77
H 12.04 19.58 -4.48


--- ii ---
Density functional theory data (ωB97M-V/def2-TZVPD) for a molecular structure, H20HeO10.

Properties
Orbital gap: 10.120 eV
Charge: 0
Multiplicity: 1

Positions of all 31 atoms, in Å:
He 0.70 0.38 -0.33
O 0.12 -2.19 -1.40
H 0.05 -2.18 -2.36
H -0.77 -2.03 -1.10
O -2.58 -2.19 -0.04
H -3.47 -2.39 -0.31
H -2.49 -1.25 -0.21
O 1.24 -3.50 1.04
H 1.81 -2.87 1.48
H 0.92 -3.04 0.26
O 3.25 -1.59 -2.11
H 2.56 -1.34 -1.49
H 2.92 -2.40 -2.51
O -1.59 0.85 3.24
H -1.14 1.65 3.51
H -1.85 1.03 2.33
O -1.87 3.16 -1.15
H -1.15 3.53 -1.66
H -1.82 3.59 -0.30
O -2.57 0.69 -0.20
H -2.30 1.48 -0.67
H -3.47 0.54 -0.47
O 2.90 2.46 1.02
H 2.88 1.77 1.68
H 2.06 2.92 1.14
O 0.84 -0.68 3.34
H 0.75 -1.63 3.41
H -0.05 -0.36 3.22
O 1.56 1.57 -3.28
H 1.58 1.84 -2.36
H 0.99 2.20 -3.70


Most stable to least stable, the ends of the list are ii and i.


--- i ---
Density functional theory data (ωB97M-V/def2-TZVPD) for 2 unconnected molecules or ions with the total composition HN3O4S.

Properties
Orbital gap: 9.863 eV
Charge: 0
Multiplicity: 1

Positions of all 9 atoms, in Å:
N -2.41 -1.16 -0.30
N -2.92 -0.80 0.61
N 0.74 -1.06 -0.20
O 1.16 -1.46 0.82
O 0.81 -1.47 -1.32
O 0.94 1.48 1.06
O 0.30 1.44 -1.29
S -0.01 0.78 -0.07
H 1.38 2.25 0.69


--- ii ---
Density functional theory data (ωB97M-V/def2-TZVPD) for 2 unconnected molecules or ions with the total composition HN3O4S.

Properties
Orbital gap: 10.079 eV
Charge: 0
Multiplicity: 1

Positions of all 9 atoms, in Å:
N -0.06 -3.05 -1.59
N -0.57 -2.10 -1.44
N -0.40 1.87 0.57
O -1.46 2.47 0.41
O 0.53 2.25 1.17
O 1.29 0.44 -0.75
O 0.02 -0.71 0.97
S -0.07 0.19 -0.38
H 0.72 -1.36 1.05


Most stable to least stable, the ends of the list are i and ii.


--- i ---
Density functional theory data (ωB97M-V/def2-TZVPD) for C6H9NO2S in the gas phase.

Properties
Orbital gap: 9.599 eV
Charge: 0
SMILES: O=C(O)CCCCN=C=S
Multiplicity: 1

Positions of all 19 atoms, in Å:
O 1.70 -1.81 0.80
C 1.99 -1.04 -0.09
O 3.24 -0.68 -0.38
C 0.98 -0.42 -1.04
C 0.57 0.97 -0.58
C -0.17 1.00 0.77
C -1.42 0.14 0.85
N -2.37 0.47 -0.21
C -3.46 -0.16 -0.22
S -4.85 -1.07 -0.22
H 3.74 -1.01 0.35
H 1.44 -0.39 -2.04
H 0.10 -1.11 -1.20
H 1.50 1.55 -0.55
H -0.04 1.38 -1.39
H 0.45 0.68 1.62
H -0.45 2.06 0.96
H -1.13 -0.93 0.71
H -1.82 0.36 1.85


--- ii ---
Density functional theory data (ωB97M-V/def2-TZVPD) for C6H9NO2S in the gas phase.

Properties
Orbital gap (spin up / spin down): 6.876 / 6.873 eV
Charge: 0
Multiplicity: 1

Positions of all 19 atoms, in Å:
C 0.40 -0.12 1.02
C 0.83 1.61 -0.60
C 0.17 -0.14 2.34
C 0.12 -1.13 0.01
C 1.18 2.62 -1.54
C -0.82 -2.11 0.64
N 0.86 1.13 0.48
O -1.12 -1.25 -2.49
O -2.22 0.08 -0.74
S -0.96 -0.23 -1.43
H 0.46 0.80 2.93
H -0.27 -1.07 2.77
H 0.87 -1.50 -0.65
H 0.25 2.91 -2.01
H 1.95 2.26 -2.06
H 1.62 3.53 -1.19
H -1.50 -2.59 0.01
H -1.41 -1.78 1.42
H -0.41 -3.01 1.09


Most stable to least stable, the ends of the list are i and ii.


--- i ---
Density functional theory data (ωB97M-V/def2-TZVPD) for 2 unconnected molecules or ions with the total composition C19H26N2O4.

Properties
Orbital gap: 8.739 eV
Charge: 0
Multiplicity: 1

Positions of all 51 atoms, in Å:
C -1.28 6.13 3.35
C 0.12 5.75 2.55
C 0.13 4.31 1.95
>>>

== Job ==
Repeat all of the notes further above exactly.

== Worked solution ==
--- i ---
Density functional theory data (ωB97M-V/def2-TZVPD) for a molecular structure, H20HeO10.

Properties
Orbital gap: 9.094 eV
Charge: 0
Multiplicity: 1

Positions of all 31 atoms, in Å:
He 12.76 17.70 -3.99
O 8.80 16.39 -3.09
H 9.27 17.00 -3.66
H 8.84 15.55 -3.55
O 14.86 15.54 -5.77
H 15.50 15.71 -5.09
H 15.22 14.81 -6.27
O 12.90 17.42 -6.38
H 13.45 16.83 -5.86
H 13.52 17.97 -6.86
O 10.14 18.60 -6.75
H 10.85 17.99 -6.54
H 10.28 19.34 -6.16
O 14.11 19.87 -4.38
H 14.66 19.32 -3.82
H 14.26 19.53 -5.26
O 10.93 18.04 -0.60
H 11.01 18.91 -0.99
H 10.01 17.98 -0.33
O 11.36 21.02 -1.89
H 12.26 20.72 -1.73
H 11.16 21.60 -1.16
O 12.54 14.48 -4.59
H 12.91 14.57 -3.71
H 13.22 14.81 -5.17
O 15.56 18.33 -2.51
H 14.88 17.85 -2.03
H 16.20 17.66 -2.76
O 11.13 19.89 -4.50
H 11.07 20.51 -3.77
H 12.04 19.58 -4.48


--- ii ---
Density functional theory data (ωB97M-V/def2-TZVPD) for a molecular structure, H20HeO10.

Properties
Orbital gap: 10.120 eV
Charge: 0
Multiplicity: 1

Positions of all 31 atoms, in Å:
He 0.70 0.38 -0.33
O 0.12 -2.19 -1.40
H 0.05 -2.18 -2.36
H -0.77 -2.03 -1.10
O -2.58 -2.19 -0.04
H -3.47 -2.39 -0.31
H -2.49 -1.25 -0.21
O 1.24 -3.50 1.04
H 1.81 -2.87 1.48
H 0.92 -3.04 0.26
O 3.25 -1.59 -2.11
H 2.56 -1.34 -1.49
H 2.92 -2.40 -2.51
O -1.59 0.85 3.24
H -1.14 1.65 3.51
H -1.85 1.03 2.33
O -1.87 3.16 -1.15
H -1.15 3.53 -1.66
H -1.82 3.59 -0.30
O -2.57 0.69 -0.20
H -2.30 1.48 -0.67
H -3.47 0.54 -0.47
O 2.90 2.46 1.02
H 2.88 1.77 1.68
H 2.06 2.92 1.14
O 0.84 -0.68 3.34
H 0.75 -1.63 3.41
H -0.05 -0.36 3.22
O 1.56 1.57 -3.28
H 1.58 1.84 -2.36
H 0.99 2.20 -3.70


Most stable to least stable, the ends of the list are ii and i.


--- i ---
Density functional theory data (ωB97M-V/def2-TZVPD) for 2 unconnected molecules or ions with the total composition HN3O4S.

Properties
Orbital gap: 9.863 eV
Charge: 0
Multiplicity: 1

Positions of all 9 atoms, in Å:
N -2.41 -1.16 -0.30
N -2.92 -0.80 0.61
N 0.74 -1.06 -0.20
O 1.16 -1.46 0.82
O 0.81 -1.47 -1.32
O 0.94 1.48 1.06
O 0.30 1.44 -1.29
S -0.01 0.78 -0.07
H 1.38 2.25 0.69


--- ii ---
Density functional theory data (ωB97M-V/def2-TZVPD) for 2 unconnected molecules or ions with the total composition HN3O4S.

Properties
Orbital gap: 10.079 eV
Charge: 0
Multiplicity: 1

Positions of all 9 atoms, in Å:
N -0.06 -3.05 -1.59
N -0.57 -2.10 -1.44
N -0.40 1.87 0.57
O -1.46 2.47 0.41
O 0.53 2.25 1.17
O 1.29 0.44 -0.75
O 0.02 -0.71 0.97
S -0.07 0.19 -0.38
H 0.72 -1.36 1.05


Most stable to least stable, the ends of the list are i and ii.


--- i ---
Density functional theory data (ωB97M-V/def2-TZVPD) for C6H9NO2S in the gas phase.

Properties
Orbital gap: 9.599 eV
Charge: 0
SMILES: O=C(O)CCCCN=C=S
Multiplicity: 1

Positions of all 19 atoms, in Å:
O 1.70 -1.81 0.80
C 1.99 -1.04 -0.09
O 3.24 -0.68 -0.38
C 0.98 -0.42 -1.04
C 0.57 0.97 -0.58
C -0.17 1.00 0.77
C -1.42 0.14 0.85
N -2.37 0.47 -0.21
C -3.46 -0.16 -0.22
S -4.85 -1.07 -0.22
H 3.74 -1.01 0.35
H 1.44 -0.39 -2.04
H 0.10 -1.11 -1.20
H 1.50 1.55 -0.55
H -0.04 1.38 -1.39
H 0.45 0.68 1.62
H -0.45 2.06 0.96
H -1.13 -0.93 0.71
H -1.82 0.36 1.85


--- ii ---
Density functional theory data (ωB97M-V/def2-TZVPD) for C6H9NO2S in the gas phase.

Properties
Orbital gap (spin up / spin down): 6.876 / 6.873 eV
Charge: 0
Multiplicity: 1

Positions of all 19 atoms, in Å:
C 0.40 -0.12 1.02
C 0.83 1.61 -0.60
C 0.17 -0.14 2.34
C 0.12 -1.13 0.01
C 1.18 2.62 -1.54
C -0.82 -2.11 0.64
N 0.86 1.13 0.48
O -1.12 -1.25 -2.49
O -2.22 0.08 -0.74
S -0.96 -0.23 -1.43
H 0.46 0.80 2.93
H -0.27 -1.07 2.77
H 0.87 -1.50 -0.65
H 0.25 2.91 -2.01
H 1.95 2.26 -2.06
H 1.62 3.53 -1.19
H -1.50 -2.59 0.01
H -1.41 -1.78 1.42
H -0.41 -3.01 1.09


Most stable to least stable, the ends of the list are i and ii.


--- i ---
Density functional theory data (ωB97M-V/def2-TZVPD) for 2 unconnected molecules or ions with the total composition C19H26N2O4.

Properties
Orbital gap: 8.739 eV
Charge: 0
Multiplicity: 1

Positions of all 51 atoms, in Å:
C -1.28 6.13 3.35
C 0.12 5.75 2.55
C 0.13 4.31 1.95